Kosrea, Micronesia

I went on a wellness/yoga retreat in Micronesia recently and it was quite wonderful.  I've never been on a trip like this and I'm sad I didn't do it sooner.  It was full of great people and unique experiences.

I was the only guy with seven women and this is where I really fit in.  I love the company of women and especially the energy of the women I was there with.  All of them were surfers and divers and sailors and all around adventurous ladies.

We went on a few hikes and got to discover all kinds of new plants. One of the hikes was a nature hike up to some ruins and the guide stopped at all kinds of different plants to tell us about them.  One was a vine where you could chop it down and drink the water out of it (we did), another bled red sap when you cut it.  It looked like it was bleeding.  Another was a fern that grew baby ferns right off the tip of its leaf. There were also some Giant Tree Ferns! There were many others, but those were the highlights for me.  We walked about many ruins while we were there as well.  I was surprised at how much of their history has been lost.  The history was always spoken, but with each conquering a little was lost and now they don't seem to know much about their past.  It was kind of sad to hear.

The Kosrean people were so kind and nice.  They were very friendly people and always willing to have a conversation with you.  We went to a local festival where they celebrated their independence. The people sang and played games and ate.  Each town has it's own color so they dress in these colors and have small competitions with the other towns.  Hearing them sing was so nice.  In the video from my last blog post the second set of singing was from the festival we went to (the first singing was from their church).

- - -
{"formula": "Na4AlZnP3O12", "functional": "GGA-PBE", "state": "relaxed", "formation_enthalpy_0k_ev_per_atom": -2.65, "energy_ev_per_atom": -6.345, "rho_kg_m3": 3174, "lattice_angstrom": [[8.8887, 0.0000, 0.0000], [-4.4444, 7.6979, 0.0000], [0.0000, 0.0000, 21.5284]], "species": ["O", "O", "O", "O", "O", "O", "O", "O", "O", "O", "O", "O", "O", "O", "O", "O", "O", "O", "O", "O", "O", "O", "O", "O", "O", "O", "O", "O", "O", "O", "O", "O", "O", "O", "O", "O", "O", "O", "O", "O", "O", "O", "O", "O", "O", "O", "O", "O", "O", "O", "O", "O", "O", "O", "O", "O", "O", "O", "O", "O", "O", "O", "O", "O", "O", "O", "O", "O", "O", "O", "O", "O", "Na", "Na", "Na", "Na", "Na", "Na", "Na", "Na", "Na", "Na", "Na", "Na", "Na", "Na", "Na", "Na", "Na", "Na", "Na", "Na", "Na", "Na", "Na", "Na", "P", "P", "P", "P", "P", "P", "P", "P", "P", "P", "P", "P", "P", "P", "P", "P", "P", "P", "Zn", "Zn", "Zn", "Zn", "Zn", "Zn", "Al", "Al", "Al", "Al", "Al", "Al"], "fractional_positions": [[0.5499, 0.6943, 0.9763], [0.1420, 0.4853, 0.5781], [0.8480, 0.3233, 0.2448], [0.1702, 0.2051, 0.6932], [0.8440, 0.8133, 0.5888], [0.5499, 0.8556, 0.4763], [0.5147, 0.6566, 0.5781], [0.3026, 0.4799, 0.7555], [0.1444, 0.4501, 0.9763], [0.5107, 0.3641, 0.4222], [0.0100, 0.1914, 0.9115], [0.6359, 0.1466, 0.4222], [0.8534, 0.4893, 0.4222], [0.2166, 0.1890, 0.8097], [0.1814, 0.9900, 0.9115], [0.1867, 0.0308, 0.5888], [0.8110, 0.0276, 0.8097], [0.3026, 0.8226, 0.2555], [0.5035, 0.6318, 0.8599], [0.3434, 0.8580, 0.5781], [0.8480, 0.5247, 0.7448], [0.4616, 0.2984, 0.0266], [0.9724, 0.7834, 0.8097], [0.3434, 0.4853, 0.0781], [0.4753, 0.1520, 0.2448], [0.9724, 0.1890, 0.3097], [0.5107, 0.1466, 0.9222], [0.9692, 0.1560, 0.5888], [0.9692, 0.8133, 0.0888], [0.8086, 0.8186, 0.9115], [0.4777, 0.1167, 0.6430], [0.0349, 0.2051, 0.1932], [0.5147, 0.8580, 0.0781], [0.5201, 0.8226, 0.7555], [0.8369, 0.2984, 0.5266], [0.8110, 0.7834, 0.3097], [0.2166, 0.0276, 0.3097], [0.6390, 0.1167, 0.1430], [0.8440, 0.0308, 0.0888], [0.7949, 0.9651, 0.6932], [0.3057, 0.4501, 0.4763], [0.1774, 0.4799, 0.2555], [0.5035, 0.8718, 0.3599], [0.4777, 0.3610, 0.1430], [0.0349, 0.8298, 0.6932], [0.1420, 0.6566, 0.0781], [0.8833, 0.5223, 0.1430], [0.0100, 0.8186, 0.4115], [0.8534, 0.3641, 0.9222], [0.7949, 0.8298, 0.1932], [0.4753, 0.3233, 0.7448], [0.1444, 0.6943, 0.4763], [0.6359, 0.4893, 0.9222], [0.1774, 0.6974, 0.7555], [0.7016, 0.5384, 0.5266], [0.4616, 0.1631, 0.5266], [0.8833, 0.3610, 0.6430], [0.1702, 0.9651, 0.1932], [0.6767, 0.5247, 0.2448], [0.8086, 0.9900, 0.4115], [0.6767, 0.1520, 0.7448], [0.3682, 0.8718, 0.8599], [0.8369, 0.5384, 0.0266], [0.1867, 0.1560, 0.0888], [0.7016, 0.1631, 0.0266], [0.6390, 0.5223, 0.6430], [0.1282, 0.4965, 0.8599], [0.3057, 0.8556, 0.9763], [0.5201, 0.6974, 0.2555], [0.3682, 0.4965, 0.3599], [0.1282, 0.6318, 0.3599], [0.1814, 0.1914, 0.4115], [0.9719, 0.6750, 0.9150], [0.3052, 0.9635, 0.0817], [0.3333, 0.6667, 0.6640], [0.6667, 0.3333, 0.3307], [0.3698, 0.0084, 0.7483], [0.3698, 0.3615, 0.2483], [0.0000, 0.0000, 0.4974], [0.6583, 0.6948, 0.0817], [0.6583, 0.9635, 0.5817], [0.6667, 0.3333, 0.8307], [0.6385, 0.6302, 0.7483], [0.7031, 0.6750, 0.4150], [0.9916, 0.6302, 0.2483], [0.7031, 0.0281, 0.9150], [0.3052, 0.3417, 0.5817], [0.0365, 0.6948, 0.5817], [0.3250, 0.2969, 0.9150], [0.0365, 0.3417, 0.0817], [0.3333, 0.6667, 0.1640], [0.3250, 0.0281, 0.4150], [0.0000, 0.0000, 0.9974], [0.6385, 0.0084, 0.2483], [0.9719, 0.2969, 0.4150], [0.9916, 0.3615, 0.7483], [0.0363, 0.3760, 0.9172], [0.0064, 0.7093, 0.7506], [0.3696, 0.3270, 0.0839], [0.6240, 0.6603, 0.9172], [0.9573, 0.3270, 0.5839], [0.6730, 0.6304, 0.5839], [0.2907, 0.2970, 0.7506], [0.3696, 0.0427, 0.5839], [0.3397, 0.3760, 0.4172], [0.0363, 0.6603, 0.4172], [0.6240, 0.9637, 0.4172], [0.7030, 0.9936, 0.7506], [0.2907, 0.9936, 0.2506], [0.9573, 0.6304, 0.0839], [0.0064, 0.2970, 0.2506], [0.6730, 0.0427, 0.0839], [0.7030, 0.7093, 0.2506], [0.3397, 0.9637, 0.9172], [0.0000, 0.0000, 0.3473], [0.3333, 0.6667, 0.5140], [0.0000, 0.0000, 0.8473], [0.6667, 0.3333, 0.6807], [0.3333, 0.6667, 0.0140], [0.6667, 0.3333, 0.1807], [0.0000, 0.0000, 0.1490], [0.3333, 0.6667, 0.3157], [0.6667, 0.3333, 0.4824], [0.3333, 0.6667, 0.8157], [0.6667, 0.3333, 0.9824], [0.0000, 0.0000, 0.6490]]}
- - -
(Here the article continues)

We also did quite a bit of diving.  We did both Scuba and freediving. We saw lots of great coral, and sharks and unique fish, it was great.  Kara the lady who put this on has done a lot of diving and she showed me some pretty cool micro creatures and how to find them in the future.  The reefs around the island are also experiencing an influx in a creature called Crown of Thorns.  These are invasive in the area and are killing the coral.  We 'disposed' of a lot of these crazy looking creatures. We had a bottle of vinegar attached to a syringe and we injected them with it.  I personally didn't feel right about killing them (killing is not in my blood), so I tried a couple, then didn't do it anymore.  Either way, it was a unique experience that I will never forget.

We went to an aquaculture farm where they are growing clams and I learned the importance of clams to the environment.  They are such cool creatures!  Plus I've never seen such big clams!

We also surfed a little, but I can't talk about this in a public forum....soooo.....yeah....

We did a traditional Sakau ceremony which was quite an experience!  Watching them make it, you would never want to drink it, but it really just tastes like earth.  They take the Kava and smash it with a rock, then they take the fibers of eucalyptus and add rain water to squeeze it all together and create a drink.  It makes you feel kind of tingly and mellow.  Good times...

I absolutely loved each of the women I was there with for different reasons.  From one person I learned to always be who you are and never hide it. From another person I learned that when you are down, you should take the time you need to get back at it.  From another I learned that daylight should not be wasted! From another I learned so much about the Pacific Ocean and some of its people. From another I 're-learned' that all it takes is a beautiful smile to brighten someones day.  One reminded me of my plans to live on a boat and not to forget about the path to get there.  I also learned a lot about myself and how I treat relationships.  I look forward to being a better person to my future girlfriends due to this.

The trip totally got me hooked on yoga again.  It was almost a month ago and I have been going to yoga every day again and I am loving it!  Through this I am meeting new friends and seeing lots of old friends as well.  I'm happy to have this in my life again.

(Attached: records of crystals)
+++
Record 1
Here is an optimized crystal structure of Tb3Cu20Sb11 from the Materials Project database. Energies are from PBE.

Output
- total magnetization (μB per formula unit) = 0.051

Lattice parameters (Å, degrees): 16.919 16.919 16.919 90.00 90.00 90.00
Space group F-43m (No. 216)
Asymmetric unit:
Tb1 0.000 0.000 0.240 x24
Cu1 0.002 0.191 0.809 x48
Cu2 0.051 0.051 0.551 x16
Cu3 0.136 0.136 0.253 x48
Cu4 0.136 0.136 0.745 x48
Sb1 0.001 0.156 0.344 x48
Sb2 0.102 0.102 0.102 x16
Sb3 0.103 0.103 0.897 x16
Sb4 0.250 0.250 0.250 x4
Sb5 0.250 0.250 0.750 x4



Record 2
Here is an optimized crystal structure of Na5Ta2Al2Si3P3O24 from the Materials Project database. Energies are from PBE.

Output
- total magnetization (μB per formula unit) = 0.000

Lattice parameters (Å, degrees): 8.786 8.791 22.171 89.60 89.59 60.11
Space group P1 (No. 1)
Asymmetric unit:
Na1 0.000 0.000 0.000 x1
Na2 0.001 0.005 0.499 x1
Na3 0.016 0.629 0.254 x1
Na4 0.298 0.676 0.419 x1
Na5 0.324 0.331 0.834 x1
Na6 0.332 0.323 0.334 x1
Na7 0.343 0.695 0.088 x1
Na8 0.368 0.633 0.752 x1
Na9 0.630 0.015 0.753 x1
Na10 0.634 0.367 0.252 x1
Na11 0.664 0.672 0.667 x1
Na12 0.671 0.671 0.166 x1
Na13 0.678 0.296 0.919 x1
Na14 0.697 0.338 0.588 x1
Na15 0.966 0.700 0.584 x1
Ta1 0.000 0.011 0.150 x1
Ta2 0.010 0.002 0.651 x1
Ta3 0.336 0.335 0.484 x1
Ta4 0.341 0.328 0.983 x1
Ta5 0.670 0.671 0.818 x1
Ta6 0.672 0.668 0.318 x1
Al1 0.002 0.002 0.858 x1
Al2 0.004 0.999 0.358 x1
Al3 0.335 0.338 0.191 x1
Al4 0.345 0.327 0.691 x1
Al5 0.661 0.683 0.525 x1
Al6 0.680 0.665 0.025 x1
Si1 0.019 0.280 0.258 x1
Si2 0.282 0.017 0.759 x1
Si3 0.289 0.713 0.256 x1
Si4 0.346 0.621 0.590 x1
Si5 0.620 0.039 0.590 x1
Si6 0.625 0.342 0.090 x1
Si7 0.685 0.947 0.924 x1
Si8 0.714 0.289 0.757 x1
Si9 0.953 0.680 0.424 x1
P1 0.011 0.709 0.757 x1
P2 0.043 0.619 0.090 x1
P3 0.051 0.338 0.590 x1
P4 0.345 0.045 0.091 x1
P5 0.373 0.680 0.924 x1
P6 0.379 0.956 0.423 x1
P7 0.683 0.372 0.424 x1
P8 0.712 0.008 0.257 x1
P9 0.957 0.378 0.924 x1
O1 0.030 0.171 0.594 x1
O2 0.031 0.163 0.315 x1
O3 0.034 0.803 0.094 x1
O4 0.039 0.797 0.811 x1
O5 0.129 0.512 0.147 x1
O6 0.137 0.370 0.644 x1
O7 0.139 0.365 0.929 x1
O8 0.153 0.500 0.427 x1
O9 0.163 0.813 0.594 x1
O10 0.165 0.028 0.815 x1
O11 0.166 0.303 0.533 x1
O12 0.166 0.800 0.315 x1
O13 0.167 0.534 0.034 x1
O14 0.171 0.528 0.747 x1
O15 0.177 0.024 0.094 x1
O16 0.179 0.316 0.246 x1
O17 0.193 0.837 0.914 x1
O18 0.199 0.973 0.415 x1
O19 0.203 0.832 0.195 x1
O20 0.206 0.962 0.698 x1
O21 0.301 0.537 0.530 x1
O22 0.307 0.163 0.033 x1
O23 0.314 0.180 0.748 x1
O24 0.317 0.515 0.248 x1
O25 0.362 0.506 0.929 x1
O26 0.365 0.138 0.145 x1
O27 0.365 0.139 0.428 x1
O28 0.370 0.501 0.648 x1
O29 0.465 0.697 0.980 x1
O30 0.467 0.835 0.477 x1
O31 0.482 0.834 0.763 x1
O32 0.488 0.688 0.262 x1
O33 0.498 0.634 0.867 x1
O34 0.498 0.869 0.366 x1
O35 0.500 0.859 0.082 x1
O36 0.501 0.371 0.148 x1
O37 0.503 0.149 0.928 x1
O38 0.506 0.364 0.427 x1
O39 0.508 0.133 0.650 x1
O40 0.517 0.317 0.749 x1
O41 0.521 0.634 0.578 x1
+++

Here is a link to Kara, the amazing lady who put on the retreat: https://www.karaocean.com/

The group!

Lots of fun plants on the hikes.  This one was used as a walking stick for a while.  We also decided it could be used for shade or wiping your butt because there was so much material to work with!

This is the Ka tree.  The roots are hollow and you can bang on them with a rock to make a loud hollow noise.

This is the fern I mentioned above that grows it's babies right of its end!

== Next to the piece, the page also holds calculated crystals ==
........
BaCa3: relaxed, GGA-PBE.

Computed properties:
Formation energy = 0.04 eV per atom
Magnetic moment = 0.00 μB/atom

Unit cell a=5.882 b=5.882 c=10.975 alpha=90.00 beta=90.00 gamma=90.00
Space group I4/mmm (No. 139)
One atom of each set of equivalent atoms:
1 Ba 0.000 0.000 0.000 [2 per cell]
2 Ca 0.000 0.000 0.500 [2 per cell]
3 Ca 0.000 0.500 0.250 [4 per cell]
........

There had to be at least one ridiculous yoga shot!

Walkway to yoga

The views from yoga area

Fun hikes!

Cooling off after the hike

Such a good conversation going on!

Sakau ceremony

Marshal Islands. I think this was Majuro
